# Input
14
Properties=species:S:1:pos:R:3:lowdin_charge:R:1 method="wB97M-V/def2-TZVPD" fmax_ev_per_a=3.2 e_tot_ev=-6793.391 smiles=C[C@@H](O)CN homo_energy_ev=-8.77
C -0.8096 -0.7883 -1.2358 -0.0567
C 0.3389 -0.6348 -0.2579 -0.4268
O 1.4185 0.1251 -0.8512 -0.0812
C 0.1546 -0.0337 1.0964 -0.2477
N -0.3194 1.3557 1.3160 -0.0170
H -1.7053 -1.3103 -0.8335 0.0863
H -0.5553 -1.2293 -2.2007 0.0762
H -1.2821 0.1917 -1.4371 0.0821
H 0.8742 -1.6036 -0.0939 0.1492
H 1.3660 0.7506 -1.5784 0.0881
H 1.1944 0.0536 1.4828 0.1165
H -0.5345 -0.6626 1.6889 0.1211
H -0.3548 1.8258 2.2051 0.0561
H 0.2144 1.9603 0.6994 0.0538

43
Properties=species:S:1:pos:R:3:lowdin_charge:R:1 method="wB97M-V/def2-TZVPD" fmax_ev_per_a=1.3 e_tot_ev=-44171.377 charge=+1 homo_energy_ev=-13.49
C 3.3981 1.7434 1.3222 -0.0730
C 2.3149 0.6774 1.5077 -0.3825
C 2.8635 -0.4169 2.4330 -0.0625
C 1.8175 0.0352 0.1795 -0.3286
C 2.2457 0.7561 -1.1020 -0.0481
C 0.3469 -0.2222 0.1879 -0.0842
O -0.4018 1.0457 -0.0725 0.0620
C -1.5267 1.1911 0.5370 -0.3582
N -2.6701 0.5182 0.3503 0.2340
B -2.9246 -0.6067 -0.6614 -0.6265
N -2.4452 -1.8987 -0.3428 0.2400
O -3.5475 -0.1803 -1.7723 0.2384
C -3.6149 1.0516 1.2024 -0.0594
C -5.0409 0.6078 1.3052 -0.5884
F -5.1448 -0.6949 1.0178 0.1721
F -5.4798 0.8117 2.5419 0.1864
F -5.8257 1.2715 0.4681 0.1945
C -3.0491 2.0637 1.9217 0.0273
N -1.7484 2.1277 1.4813 -0.3849
Cl -0.6093 3.2364 2.0242 0.8747
H 4.2704 1.3168 0.8343 0.0880
H 3.7249 2.0695 2.3063 0.0794
H 3.0454 2.6147 0.7802 0.0742
H 1.4742 1.1528 2.0162 0.0956
H 3.5240 0.0039 3.1864 0.0773
H 3.4512 -1.1411 1.8739 0.0837
H 2.0746 -0.9497 2.9604 0.0782
H 2.2647 -0.9570 0.1356 0.1289
H 3.3160 0.6340 -1.2281 0.0863
H 1.9940 1.8093 -1.0796 0.0797
H 1.7802 0.2675 -1.9548 0.0685
H 0.0801 -0.9280 -0.5928 0.0931
H -0.0012 -0.6349 1.1340 0.1431
H -2.6575 -2.5859 -1.0549 0.1044
H -2.7123 -2.2623 0.5622 0.1075
H -3.8483 -0.8928 -2.3461 0.1319
H -3.4825 2.7061 2.6623 0.1501
C 2.3172 -2.5584 -4.5957 -0.0551
C 1.8065 -2.5721 -3.2324 -0.2623
N 1.4170 -2.5819 -2.1589 0.1511
H 2.2171 -3.5483 -5.0358 0.0887
H 1.7562 -1.8430 -5.1933 0.0860
H 3.3676 -2.2750 -4.5916 0.0885

13
Properties=species:S:1:pos:R:3:lowdin_charge:R:1 method="wB97M-V/def2-TZVPD" fmax_ev_per_a=0.4 e_tot_ev=-9269.501 homo_energy_ev=-8.15
C 2.0710 -0.3078 0.1599 -0.0025
C 0.6153 -0.0677 -0.0618 -0.3832
N -0.0255 -0.4762 -1.1461 0.1157
C -1.2642 0.0772 -0.9968 -0.1884
C -1.4524 0.8965 0.2110 -0.1534
O -2.1893 -0.5537 0.3745 -0.0651
N -0.1548 0.6510 0.7747 0.0655
H 2.4319 -1.0209 -0.5819 0.0828
H 2.2745 -0.6867 1.1658 0.0851
H 2.6163 0.6346 0.0351 0.0909
H -1.9768 -0.0036 -1.8106 0.1244
H -3.1128 -0.2932 0.2377 0.0895
H 0.1903 1.1369 1.5880 0.1388

78
Properties=species:S:1:pos:R:3:lowdin_charge:R:1 method="wB97M-V/def2-TZVPD" fmax_ev_per_a=2.2 e_tot_ev=-132942.181 homo_energy_ev=-6.69
Cu 0.6713 0.0928 -0.1699 0.3048
C 0.1723 -3.0427 -1.5712 -0.3539
O 0.2658 -2.0321 -0.6520 -0.3723
H 0.3289 -4.0231 -1.0841 0.0571
H -0.7730 -3.1292 -2.1441 0.0387
H 0.9158 -3.0340 -2.3983 0.0510
C -3.6680 -1.0014 3.5248 -0.2295
C -2.4076 -1.7770 3.1671 -0.1949
C -2.0492 -1.4308 1.6959 -0.1905
S -2.7206 0.2407 1.3639 0.7060
O -3.7790 0.1195 0.3490 -0.3457
O -1.6618 1.1582 1.0864 -0.3167
C -3.5278 0.4275 3.0087 -0.2177
H -3.9793 -0.9123 4.5690 0.1147
H -4.5827 -1.3885 3.0663 0.1196
H -2.6427 -2.8402 3.2021 0.1135
H -1.5359 -1.5621 3.7796 0.1099
H -2.5359 -2.0465 0.9434 0.1052
H -0.9706 -1.4654 1.5558 0.0717
H -4.4187 1.0364 2.8716 0.1013
H -2.8304 1.0418 3.5851 0.1016
C -0.5233 5.5047 1.3213 -0.2033
C -0.9941 5.6156 -0.1252 -0.2354
C -0.6877 4.3148 -0.8254 -0.2114
S 0.9734 3.8203 -0.1920 0.7354
O 2.0128 4.2426 -1.1307 -0.3205
O 0.7951 2.4697 0.3027 -0.3397
C 0.9045 4.9485 1.2556 -0.2076
H -1.2316 4.9417 1.9242 0.1170
H -0.3653 6.4880 1.7661 0.1105
H -0.6435 6.5062 -0.6511 0.1193
H -2.0845 5.7188 -0.1699 0.1145
H -0.7003 4.2202 -1.9062 0.1086
H -1.3254 3.5485 -0.3785 0.0843
H 1.6118 5.7457 1.0242 0.0991
H 1.3493 4.3691 2.0625 0.1005
C -3.5897 -0.6553 -3.4751 -0.2088

# Assignment
Reproduce everything above with every line break kept, please.

# Here it is
14
Properties=species:S:1:pos:R:3:lowdin_charge:R:1 method="wB97M-V/def2-TZVPD" fmax_ev_per_a=3.2 e_tot_ev=-6793.391 smiles=C[C@@H](O)CN homo_energy_ev=-8.77
C -0.8096 -0.7883 -1.2358 -0.0567
C 0.3389 -0.6348 -0.2579 -0.4268
O 1.4185 0.1251 -0.8512 -0.0812
C 0.1546 -0.0337 1.0964 -0.2477
N -0.3194 1.3557 1.3160 -0.0170
H -1.7053 -1.3103 -0.8335 0.0863
H -0.5553 -1.2293 -2.2007 0.0762
H -1.2821 0.1917 -1.4371 0.0821
H 0.8742 -1.6036 -0.0939 0.1492
H 1.3660 0.7506 -1.5784 0.0881
H 1.1944 0.0536 1.4828 0.1165
H -0.5345 -0.6626 1.6889 0.1211
H -0.3548 1.8258 2.2051 0.0561
H 0.2144 1.9603 0.6994 0.0538

43
Properties=species:S:1:pos:R:3:lowdin_charge:R:1 method="wB97M-V/def2-TZVPD" fmax_ev_per_a=1.3 e_tot_ev=-44171.377 charge=+1 homo_energy_ev=-13.49
C 3.3981 1.7434 1.3222 -0.0730
C 2.3149 0.6774 1.5077 -0.3825
C 2.8635 -0.4169 2.4330 -0.0625
C 1.8175 0.0352 0.1795 -0.3286
C 2.2457 0.7561 -1.1020 -0.0481
C 0.3469 -0.2222 0.1879 -0.0842
O -0.4018 1.0457 -0.0725 0.0620
C -1.5267 1.1911 0.5370 -0.3582
N -2.6701 0.5182 0.3503 0.2340
B -2.9246 -0.6067 -0.6614 -0.6265
N -2.4452 -1.8987 -0.3428 0.2400
O -3.5475 -0.1803 -1.7723 0.2384
C -3.6149 1.0516 1.2024 -0.0594
C -5.0409 0.6078 1.3052 -0.5884
F -5.1448 -0.6949 1.0178 0.1721
F -5.4798 0.8117 2.5419 0.1864
F -5.8257 1.2715 0.4681 0.1945
C -3.0491 2.0637 1.9217 0.0273
N -1.7484 2.1277 1.4813 -0.3849
Cl -0.6093 3.2364 2.0242 0.8747
H 4.2704 1.3168 0.8343 0.0880
H 3.7249 2.0695 2.3063 0.0794
H 3.0454 2.6147 0.7802 0.0742
H 1.4742 1.1528 2.0162 0.0956
H 3.5240 0.0039 3.1864 0.0773
H 3.4512 -1.1411 1.8739 0.0837
H 2.0746 -0.9497 2.9604 0.0782
H 2.2647 -0.9570 0.1356 0.1289
H 3.3160 0.6340 -1.2281 0.0863
H 1.9940 1.8093 -1.0796 0.0797
H 1.7802 0.2675 -1.9548 0.0685
H 0.0801 -0.9280 -0.5928 0.0931
H -0.0012 -0.6349 1.1340 0.1431
H -2.6575 -2.5859 -1.0549 0.1044
H -2.7123 -2.2623 0.5622 0.1075
H -3.8483 -0.8928 -2.3461 0.1319
H -3.4825 2.7061 2.6623 0.1501
C 2.3172 -2.5584 -4.5957 -0.0551
C 1.8065 -2.5721 -3.2324 -0.2623
N 1.4170 -2.5819 -2.1589 0.1511
H 2.2171 -3.5483 -5.0358 0.0887
H 1.7562 -1.8430 -5.1933 0.0860
H 3.3676 -2.2750 -4.5916 0.0885

13
Properties=species:S:1:pos:R:3:lowdin_charge:R:1 method="wB97M-V/def2-TZVPD" fmax_ev_per_a=0.4 e_tot_ev=-9269.501 homo_energy_ev=-8.15
C 2.0710 -0.3078 0.1599 -0.0025
C 0.6153 -0.0677 -0.0618 -0.3832
N -0.0255 -0.4762 -1.1461 0.1157
C -1.2642 0.0772 -0.9968 -0.1884
C -1.4524 0.8965 0.2110 -0.1534
O -2.1893 -0.5537 0.3745 -0.0651
N -0.1548 0.6510 0.7747 0.0655
H 2.4319 -1.0209 -0.5819 0.0828
H 2.2745 -0.6867 1.1658 0.0851
H 2.6163 0.6346 0.0351 0.0909
H -1.9768 -0.0036 -1.8106 0.1244
H -3.1128 -0.2932 0.2377 0.0895
H 0.1903 1.1369 1.5880 0.1388

78
Properties=species:S:1:pos:R:3:lowdin_charge:R:1 method="wB97M-V/def2-TZVPD" fmax_ev_per_a=2.2 e_tot_ev=-132942.181 homo_energy_ev=-6.69
Cu 0.6713 0.0928 -0.1699 0.3048
C 0.1723 -3.0427 -1.5712 -0.3539
O 0.2658 -2.0321 -0.6520 -0.3723
H 0.3289 -4.0231 -1.0841 0.0571
H -0.7730 -3.1292 -2.1441 0.0387
H 0.9158 -3.0340 -2.3983 0.0510
C -3.6680 -1.0014 3.5248 -0.2295
C -2.4076 -1.7770 3.1671 -0.1949
C -2.0492 -1.4308 1.6959 -0.1905
S -2.7206 0.2407 1.3639 0.7060
O -3.7790 0.1195 0.3490 -0.3457
O -1.6618 1.1582 1.0864 -0.3167
C -3.5278 0.4275 3.0087 -0.2177
H -3.9793 -0.9123 4.5690 0.1147
H -4.5827 -1.3885 3.0663 0.1196
H -2.6427 -2.8402 3.2021 0.1135
H -1.5359 -1.5621 3.7796 0.1099
H -2.5359 -2.0465 0.9434 0.1052
H -0.9706 -1.4654 1.5558 0.0717
H -4.4187 1.0364 2.8716 0.1013
H -2.8304 1.0418 3.5851 0.1016
C -0.5233 5.5047 1.3213 -0.2033
C -0.9941 5.6156 -0.1252 -0.2354
C -0.6877 4.3148 -0.8254 -0.2114
S 0.9734 3.8203 -0.1920 0.7354
O 2.0128 4.2426 -1.1307 -0.3205
O 0.7951 2.4697 0.3027 -0.3397
C 0.9045 4.9485 1.2556 -0.2076
H -1.2316 4.9417 1.9242 0.1170
H -0.3653 6.4880 1.7661 0.1105
H -0.6435 6.5062 -0.6511 0.1193
H -2.0845 5.7188 -0.1699 0.1145
H -0.7003 4.2202 -1.9062 0.1086
H -1.3254 3.5485 -0.3785 0.0843
H 1.6118 5.7457 1.0242 0.0991
H 1.3493 4.3691 2.0625 0.1005
C -3.5897 -0.6553 -3.4751 -0.2088